[Source]
The following is a simulated X-ray powder pattern of Sr2Ca6Au. It was derived from a cell relaxed with GGA-PBE, using CuKα.
No peak broadening, texture or thermal motion is included.

```
data_Sr2Ca6Au
_chemical_formula_sum 'Sr8 Ca24 Au4'
_space_group_name_H-M_alt 'F m -3 m'
_space_group_IT_number 225
_space_group_name_Hall '-F 4 2 3'
_cell_length_a 11.4736
_cell_length_b 11.4736
_cell_length_c 11.4736
_cell_angle_alpha 90.00
_cell_angle_beta 90.00
_cell_angle_gamma 90.00
loop_
_atom_site_label
_atom_site_fract_x
_atom_site_fract_y
_atom_site_fract_z
_atom_site_occupancy
Sr1 0.2500 0.2500 0.2500 1
Ca1 0.0000 0.0000 0.2442 1
Au1 0.0000 0.0000 0.5000 1
```

Top 8 peaks for 10 to 90 degrees two-theta, low angle first:
| d/Å | two_theta | I_rel | index |
| --- | --- | --- | --- |
| 6.624 | 13.4 | 835 | 1 1 1 |
| 4.057 | 21.9 | 989 | 2 2 0 |
| 3.459 | 25.8 | 652 | 3 1 1 |
| 2.868 | 31.2 | 1000 | 4 0 0 |
| 2.632 | 34.1 | 363 | 3 3 1 |
| 2.342 | 38.4 | 486 | 4 2 2 |
| 2.028 | 44.7 | 715 | 4 4 0 |
| 1.283 | 73.9 | 304 | 8 4 0 |

----------

This entry pairs a crystal structure of RbCuNiO2 with its simulated X-ray powder pattern. Radiation: Cu Ka. Structure: a DFT-relaxed cell (GGA+U, Alexandria).
No peak broadening, texture or thermal motion is included.

Cell and atoms:
abc: 6.213 4.823 5.789
angles: 90.00 104.69 90.00
Sites, in units of the cell vectors:
Rb 0.000 0.249 0.250
Rb 0.000 0.751 0.750
Cu 0.500 0.000 0.000
Cu 0.500 0.000 0.500
Ni 0.500 0.460 0.750
Ni 0.500 0.540 0.250
O 0.322 0.313 0.971
O 0.322 0.687 0.471
O 0.678 0.313 0.529
O 0.678 0.687 0.029

Main lines, in order of falling intensity (2θ from 10° to 80°):
(2 0 0), 29.73 deg, rel. 1000
(1 2 0), 40.30 deg, rel. 887
(1 1 1), 30.67 deg, rel. 821
(1 0 0), 14.74 deg, rel. 565
(1 1 -2), 36.85 deg, rel. 430
(1 1 -1), 26.36 deg, rel. 400
(0 1 2), 37.13 deg, rel. 394
(0 1 1), 24.36 deg, rel. 344
[Job]
Work out how many lines earlier on have the word "structure" in them; a number is enough.
[Worked solution]
1